AI611_review : 10 reviews and some simple reviews

Writer : sejik park

Review 1 : Proximal Policy Optimization Algorithms

Proximal policy optimization (PPO) is an on-policy algorithm which optimize clipped surrogate objective. It have some of benefits of trust region policy optimization (TRPO), which have the proof about monotonic improvement. Because PPO’s clip algorithm works as ignoring the change in probability ratio for the positive object and including it for the negative object. In other words, PPO removes the incentive for moving outside of the defined interval. This article test not only clipped algorithm but also adaptive KL penalty. But penalizing on KL divergence has worse performance than clipped method. Overall, PPO outperform over A2C, A2C with trust region, cross entropy method, vanilla policy gradient, and TRPO in the continuous control benchmark. For the discussion point, finding the optimal entropy coefficient without greedy search could be a point, and meta-optimization could be one way to solve this problem.

Review 2 : Soft Actor Critic Algorithms and Applications

Soft Actor-Critic (SAC) is off-policy actor-critic algorithm based on the maximum entropy RL framework which is to learn the task while acting as randomly as possible. In other words, SAC aims to maximize the entropy which makes the policy to explore more widely. As a result, it can capture multiple modes of near-optimal behavior which is helpful for solving model-free reinforcement problem about brittleness to hypermeters. To accomplish this goal, authors theoretically show soft policy iteration convergence and formulate the practical SAC algorithm. In detail, SAC train separated policy and value function networks for off-policy. Then, it minimize the expected KL-divergence to learn the policy with soft Q-function. In addition, SAC with adjusting the temperature automatically is also suggested. In conclusion, they show the performance over the off-policy TD3 and the on-policy PPO on the OpenAI gym and the rllab impletation of the Humanoid environment. Also, Two real-world robot (quadrupedal robot, and dexterous hand) tasks can be learned directly end-to-end with SAC. For the discussion point, although partition function, which normalizes the Q value distribution, was excluded because it does not affect the learning, I think it could be helpful to stabilize the training by not excluding normalization process using bounded discrete distributional value function.

Review 3 : Prioritized Experience Replay

Prioritized Experience Replay (PER) is an algorithm which sample transitions with priority for more efficient and effective learning than an algorithm which sample uniformly. Authors measure the magnitude of temporal-difference error for priority. Then, this priority is used to calculate four kinds of prioritization: greedy, oracle, proportional based, rank-based. Greedy prioritization are only updated for the transitions that are replayed, other kinds of prioritization work better. But, other prioritization can also lead to a loss of diversity which introduce bias. So, PER correct bias with importance sampling. Overall, experiment results is as follows. For a toy example, oracle, which sample transition that maximally reduces the global loss, improves the efficiency on the Blind Cliffwalk environment where is sparse reward setting. And experiments on Atari show proportional based and rank-based prioritization can improve the training efficiency than double DQN by a factor 2. Also, PER is effective for reducing first grounded delay about some games in Atari. For the discussion point, there may be other reasons why the transition should be prioritized. For example, some transitions can be helpful for exploration, other transitions can be used for avoiding forgetting. So, I am curious about the pros and cons about learnable prioritization if it exists. Or, I think it can be solved with meta-gradient.

Review 4 : Dream to Control Learning Behaviors by Latent Imagination

Dreamer shows how to use the model with latent imagination for improving model-based reinforcement learning. Dreamer encode states with representation model, transition model, and reward model. In detail, authors use mutual information between model states and observations instead of predicting states from images. Then, it generate imagined trajectories with its imagined states and actions for learning behaviors. With imagined trajectories, dreamer predicts state values and actions to maximize value predictions. In conclusion, dreamers’ agent act in the environment by encoding the history to state and predict the next action with this state. As a result, authors show that dreamer learn efficiently and robustness to long horizon. For the discussion point, I think model prediction could be enhanced with transformer architecture.

Review 5 : IQ-Learn: Inverse soft-Q Learning for Imitation

Inverse soft-Q learning is an framework for imitation learning. This solve the problem at very sparse expert data setting by using a single Q-function instead of adversarial optimization process which can be with high variance gradient estimators. In other words, soft-Q learning is dynamics-aware imitation learning which implicitly representing both reward and policy. Its implicit functions are learned by modified Q-function which integrated adversarial learning’s two-step process: 1. reward learning by assigning high reward to the expert policy and low reward to other ones, 2. policy improvement by searching best policy under reward function. As a result, with regularization, soft-Q learning can calculate the reward which is highly correlated with the real reward. Also, for the experiments with spare expert data, it outperforms prior methods in offline control task, Atari, and Mujoco. For the discussion point, sometimes its implicit reward can be not flexibly learned. For example, using only expert data can achieve higher performance than using all of data. So, I think it would be helpful to use an algorithm that can be prioritized for expert data which can be used without excluding the other data.

Review 6 : Generative Adversarial Imitation Learning

Generative adversarial imitation learning is a framework which combines state-action adversarial learning and KL-constrained natural gradient step. Authors show the relationship between generative adversarial imitation learning and inverse reinforcement learning. Then, they explain generative adversarial imitation learning as directly policy learning algorithm which bypass intermediate inverse reinforcement learning. In conclusion, generative adversarial imitation learning improve efficiency compared to behavior cloning algorithms (FEM, and GTAL) under 9 physics-based control tasks with TRPO experts data. And it has better performance than behavior cloning in not richer task. For the discussion, I think, for adversarial training, generating trajectory instead of sampling trajectory could be helpful. Because discriminator could be biased under existing trajectories and generator could help use more diverse trajectory under given data.

### Someone pasted quantum chemistry results at this point
/*
(1)
The following is a quantum chemistry calculation of a cluster of 2 separate species, C11H9NO in total, from the OMol25 dataset.

Last column: Löwdin charge in e.
Element x y z (Å)
C 2.143 2.393 0.991  0.16
C 0.968 2.136 0.916  -0.08
C 1.549 -2.721 -1.013  -0.11
C 0.708 -1.967 -1.815  -0.10
C 1.789 -2.356 0.300  -0.10
C 0.100 -0.823 -1.305  -0.11
C 1.188 -1.216 0.826  -0.11
C 0.369 -0.510 -0.006  -0.01
C -2.350 1.365 1.528  -0.07
C -2.515 2.024 0.184  -0.14
C -0.387 1.814 0.835  -0.36
N -1.109 1.280 1.849  0.13
O -1.177 2.305 -0.178  -0.01
H 3.159 2.625 1.083  0.02
H 2.029 -3.598 -1.428  0.10
H 0.529 -2.255 -2.842  0.10
H 2.449 -2.946 0.922  0.10
H -0.541 -0.212 -1.925  0.10
H 1.372 -0.905 1.842  0.10
H -3.145 1.000 2.149  0.11
H -2.983 1.367 -0.563  0.13
H -3.093 2.959 0.232  0.13

Energy above the lowest of the compared OMol25 structures with the same formula, charge and spin ... 470.5 kJ/mol
Multiplicity ... 1
HOMO ... -7.1 eV
F_max ... 3.68 eV/Å
Orbital gap ... 6.4 eV



(2)
The following is a quantum chemistry calculation of a cluster of 11 separate species, C122H116N4O22 in total, from the OMol25 dataset.

Last column: Löwdin charge in e.
Element x y z (Å)
C 13.486 25.733 22.364  -0.05
C 12.276 25.466 22.990  -0.07
C 12.218 24.583 24.084  0.02
C 13.406 23.938 24.529  -0.08
C 14.641 24.241 23.914  -0.07
C 14.664 25.076 22.792  0.01
C 15.974 23.919 24.544  -0.26
O 16.993 24.418 24.140  0.10
C 15.843 23.064 25.823  -0.06
C 17.053 22.648 26.417  -0.03
C 17.043 21.865 27.532  -0.04
C 15.766 21.459 28.083  -0.03
C 14.583 21.831 27.466  0.02
C 14.601 22.708 26.341  -0.08
C 13.350 23.108 25.715  -0.35
O 12.298 22.717 26.133  0.12
H 13.548 26.427 21.571  0.09
H 11.412 26.066 22.651  0.11
H 11.247 24.428 24.540  0.12
H 15.580 25.148 22.273  0.10
H 18.042 22.775 26.009  0.12
H 17.974 21.511 28.000  0.10
H 15.829 20.776 28.916  0.09
H 13.619 21.594 27.897  0.12
C 14.926 13.486 26.976  -0.02
C 14.170 12.402 26.443  -0.04
C 13.560 12.457 25.216  -0.01
C 13.705 13.620 24.462  -0.06
C 14.425 14.740 25.025  -0.07
C 14.937 14.687 26.289  -0.01
C 14.587 15.986 24.257  -0.23
O 15.230 16.987 24.688  0.04
C 13.974 16.063 22.924  -0.09
C 14.088 17.201 22.203  -0.02
C 13.574 17.308 20.927  -0.05
C 12.937 16.210 20.382  -0.04
C 12.717 15.010 21.111  -0.02
C 13.262 14.924 22.321  -0.08
C 13.055 13.646 23.133  -0.30
O 12.368 12.764 22.717  0.13
H 15.487 13.345 27.915  0.11
H 14.118 11.424 26.901  0.11
H 13.041 11.627 24.782  0.12
H 15.558 15.511 26.645  0.10
H 14.617 18.031 22.740  0.12
H 13.713 18.190 20.351  0.09
H 12.572 16.235 19.362  0.11
H 12.207 14.191 20.655  0.12
C 25.686 17.673 24.391  -0.03
C 26.680 17.686 25.393  -0.02
C 27.694 16.760 25.239  -0.01
C 27.763 15.855 24.197  -0.09
C 26.654 15.706 23.335  -0.05
C 25.629 16.656 23.450  -0.02
C 26.411 14.603 22.333  -0.27
O 25.356 14.512 21.731  0.09
C 27.531 13.629 22.257  -0.09
C 27.351 12.611 21.327  -0.02
C 28.361 11.700 21.115  -0.05
C 29.503 11.791 21.930  -0.06
C 29.661 12.756 22.898  -0.02
*/
### The article goes on

Review 7 : Conservative Q-Learning for Offline Reinforcement Learning

Conservative Q-learning (CQL) is an algorithm to avoid the failure which induced by overestimating of values by the distribution shift from out-of-distribution actions. To achieve this goal, CQL minimize and tighten Q value under an appropriate chosen distribution in the dataset. In other word, it update itself with the lower bound which is penalize state marginal Q value and complement Q value over its current behavior policy. As a result, CQL Q-function can prevent out-of-distributed action by gap-expanding which means expanding the difference in Q-values at in-distribution actions and out-of-distribution actions more than its actual difference. In conclusion, CQL shows significant performance improvement over SAC on continuous control datasets from the D4RL benchmark. For the discussion point, I wonder the performance of CQL on multi-task environment. Because conservative speculation does not take into account the factors that can be generalized. If it is right concern, I think adversarial learning between conservation and generalization could be a solution.


Implicit Q-learning (IQL) is an offline reinforcement learning method that avoid value function overestimation by approximating an upper expectile. This expectile is defined as an asymmetric L1 loss that asymmetric intensity can defines the entire spectrum of methods between SARSA and Q-Learning. However, there is an problem about the existence of a single action over a large target value. So, IQL resolve it by implicitly treating the state value function. Then, IQL estimate Q-function and extract the policy via advantage-weighted regression which can control weight hyperparameter to define an algorithm between behavior cloning and maximum of the Q-function. In conclusion, under certain assumptions, IQL indeed approximates the optimal state-action value Q and performs multi-step dynamical programming. For the discussion point, I think IQL define general algorithm which can be diverse algorithm by controlling hyperparameter. But the results seems to be complicated to understand. So, It would be good to find the best algorithm through learning (i.e. meta learning) and make a neat result table.

Review 9 : Decision Transformer: Reinforcement Learning via Sequence Modeling

Decision Transformer is a causally masked transformer which predicts the optimal actions by conditioning on the desired return, past states, and actions. Transformer architecture has benefit to learn sparse reward environment because it use self-attention which can attend to every previous state and action. In conclusion, the performance is comparable with or better than previous best methods on offline RL benchmarks in Atari, OpenAI Gym, and Key-to-Door. In addition, authors show transformer perform better than behavior cloning on both plenty data regime and low data regime. Also, decision transformer could make the trajectory with the desired return which is correlated with the target return. Lastly, it shows linear approximation over the best trajectory’s return which means that it is generalized to not-shown data distribution. For the discussion point, it use the masked information for the autoregressive generation but I think there could be some more information which could be delivered from bi-directional (or reverse) way. For example, since decision transformer use the overflowed maximum reward because it is difficult to give a direct best reward for the task, it is possible to predict diverse future trajectories and make a value by these trajectories to use as an additional information for correcting the overly given reward into precisely desired return.

Review 10 : Data-Efficient Hierarchical Reinforcement Learning

HIerarchical Reinforcement learning with Off-policy correction (HIRO) solve non-stationary training problem of two-layer hierarchical off-policy that lower-level controllers are supervised with goals which is generated by the higher-level controllers and have meaning about desired relative changes in state observations. To solve non-stationary training problem, HIRO use off-policy correction which re-labels the past transition’s goal with the new goal which could be most achievable with the transition’s actions among the gaussian centered random goal. As a result, HIRO is able to use past experience more stable and it perform better than FuN, SNN4HRL, and VIME on the Ant related environment. For the discussion point, combination of modifying the goal and correcting the action to match the goal could be helpful to learn more about the difficult goal. Because only modifying the goal can be biased to easier target corresponding to current actions. In other words, there can be more opportunities to learn about difficult goals with combination algorithm. In addition, it would be nice to show experiments on other environments which less require hierarchical learning because I want to know whether hierarchical algorithm interferes learning other information which is less hierarchical.

Simple Review : Playing hard exploration games by watching

This paper uses video information for self-supervised learning to excel in sparse reward environments. The learning stage consists of two stages: self-supervised learning and agent learning. For self-supervised learning, it learn the gap between frames based on images and sounds to solve the domain gap between YouTube video and Atari. Then, the agent is learned by defining an imitation learning reward based on the learned representation. Finally, it shows good results for Montezuma's revenge, which is a hard exploration game.

Simple Review : Mean Field Multi-Agent Reinforcement Learning

This paper designs a Q function that considers only agents around itself to reduce problem complexity in a multi-agent environment.

Simple Review : Multi-Agent Actor-Critic for Mixed Cooperative-Competitive Environments

This paper suggests a method to learn multi-agent environments using centralized Q learning and ensemble policy. Authors show that multi-agent performance improves over DDPG for toy environments such as cooperative communication and predictor-prey.

Simple Review : Discovering faster matrix multiplication algorithms with reinforcement learning

This paper is learned to find the optimal computational path with addition and multiplication game.

Simple Review : Grandmaster level in StarCraft II using multi-agent reinforcement learning

This paper applied reinforcement learning in complex strategy game. Authors utilized clipped importance sampling and self-imitation learning for agent learning, and developed learning methods to create competition with continuous performance improvement. For example, through fictitious self-play, agent can refer to strategies that have mutual advantages and disadvantages. In addition, for the competitive learning process, authors placed constraints on the opponent for performance and overall league status judgment. Also, they modified multi-agent learning to steadily increase performance. Finally, it shows good performance even if it is set up to be fair to people’s operating ability.